File:
For MgMn6O6F6, a crystal structure in the Materials Project, relaxed with GGA+U gives the simulated powder X-ray diffraction pattern in this record (a wavelength of 1.5418 Å).
Lines closer than 0.1° are merged.

Main lines, in order of falling intensity (15° ≤ 2θ ≤ 90°):
d_spacing	Position (°2θ)	Rel. int.	(hkl)
3.115	28.66	100	0 1 -4
2.650	33.83	97	1 -1 1
3.474	25.64	89	0 1 3
2.619	34.24	72	1 0 -3
4.160	21.36	53	0 1 2
1.678	54.71	50	1 1 -7

```
MgMn6O6F6
1.0
3.103 0.000 0.000
-0.001 5.310 0.000
-0.001 -1.007 14.656
Mg Mn O F
1 6 6 6
Direct
0.000 0.000 0.000
0.005 0.343 0.209
0.005 0.609 0.794
0.006 0.534 0.505
0.500 0.499 0.002
0.505 0.136 0.653
0.506 0.921 0.352
0.001 0.354 0.069
0.001 0.644 0.933
0.006 0.062 0.288
0.006 0.276 0.591
0.006 0.785 0.416
0.505 0.431 0.753
0.006 0.948 0.726
0.500 0.123 0.927
0.500 0.877 0.073
0.505 0.580 0.245
0.505 0.739 0.574
0.507 0.345 0.439
```

~~~~~

Structure and simulated powder diffractogram of AcPa4N6 (a DFT-relaxed cell (GGA-PBE, Alexandria); λ = 1.5418 Å (Cu Kα)).
Neutral-atom scattering factors, no anomalous dispersion.

Structural model:
```
22
Lattice="1.762 -5.814 0.000 1.762 5.814 0.000 0.000 0.000 17.249" Properties=species:S:1:pos:R:3 pbc="T T T"
Ac 1.762 3.920 12.937
Ac 1.762 -3.920 4.312
Pa 1.762 4.677 2.284
Pa 1.762 4.677 6.341
Pa 1.762 1.586 0.769
Pa 1.762 1.586 7.855
Pa 1.762 -1.586 9.394
Pa 1.762 -1.586 16.480
Pa 1.762 -4.677 10.908
Pa 1.762 -4.677 14.966
N 0.000 0.000 0.000
N 0.000 0.000 8.625
N 1.762 3.784 4.312
N 1.762 2.696 10.225
N 1.762 2.696 15.649
N 1.762 0.410 2.663
N 1.762 0.410 5.961
N 1.762 -0.410 11.288
N 1.762 -0.410 14.586
N 1.762 -2.696 1.600
N 1.762 -2.696 7.025
N 1.762 -3.784 12.937
```

Main lines, low angle first (15° ≤ 2θ ≤ 90°):
| d [Å] | 2θ/deg | I/Imax |
| --- | --- | --- |
| 3.140 | 28.42 | 36 |
| 2.967 | 30.12 | 100 |
| 2.908 | 30.75 | 100 |
| 2.578 | 34.80 | 27 |
| 2.496 | 35.99 | 47 |
| 2.374 | 37.89 | 28 |
| 1.769 | 51.67 | 33 |
| 1.515 | 61.19 | 30 |

Wanted:
Next, repeat everything further up word for word.

Reply:
For MgMn6O6F6, a crystal structure in the Materials Project, relaxed with GGA+U gives the simulated powder X-ray diffraction pattern in this record (a wavelength of 1.5418 Å).
Lines closer than 0.1° are merged.

Main lines, in order of falling intensity (15° ≤ 2θ ≤ 90°):
d_spacing	Position (°2θ)	Rel. int.	(hkl)
3.115	28.66	100	0 1 -4
2.650	33.83	97	1 -1 1
3.474	25.64	89	0 1 3
2.619	34.24	72	1 0 -3
4.160	21.36	53	0 1 2
1.678	54.71	50	1 1 -7

```
MgMn6O6F6
1.0
3.103 0.000 0.000
-0.001 5.310 0.000
-0.001 -1.007 14.656
Mg Mn O F
1 6 6 6
Direct
0.000 0.000 0.000
0.005 0.343 0.209
0.005 0.609 0.794
0.006 0.534 0.505
0.500 0.499 0.002
0.505 0.136 0.653
0.506 0.921 0.352
0.001 0.354 0.069
0.001 0.644 0.933
0.006 0.062 0.288
0.006 0.276 0.591
0.006 0.785 0.416
0.505 0.431 0.753
0.006 0.948 0.726
0.500 0.123 0.927
0.500 0.877 0.073
0.505 0.580 0.245
0.505 0.739 0.574
0.507 0.345 0.439
```

~~~~~

Structure and simulated powder diffractogram of AcPa4N6 (a DFT-relaxed cell (GGA-PBE, Alexandria); λ = 1.5418 Å (Cu Kα)).
Neutral-atom scattering factors, no anomalous dispersion.

Structural model:
```
22
Lattice="1.762 -5.814 0.000 1.762 5.814 0.000 0.000 0.000 17.249" Properties=species:S:1:pos:R:3 pbc="T T T"
Ac 1.762 3.920 12.937
Ac 1.762 -3.920 4.312
Pa 1.762 4.677 2.284
Pa 1.762 4.677 6.341
Pa 1.762 1.586 0.769
Pa 1.762 1.586 7.855
Pa 1.762 -1.586 9.394
Pa 1.762 -1.586 16.480
Pa 1.762 -4.677 10.908
Pa 1.762 -4.677 14.966
N 0.000 0.000 0.000
N 0.000 0.000 8.625
N 1.762 3.784 4.312
N 1.762 2.696 10.225
N 1.762 2.696 15.649
N 1.762 0.410 2.663
N 1.762 0.410 5.961
N 1.762 -0.410 11.288
N 1.762 -0.410 14.586
N 1.762 -2.696 1.600
N 1.762 -2.696 7.025
N 1.762 -3.784 12.937
```

Main lines, low angle first (15° ≤ 2θ ≤ 90°):
| d [Å] | 2θ/deg | I/Imax |
| --- | --- | --- |
| 3.140 | 28.42 | 36 |
| 2.967 | 30.12 | 100 |
| 2.908 | 30.75 | 100 |
| 2.578 | 34.80 | 27 |
| 2.496 | 35.99 | 47 |
| 2.374 | 37.89 | 28 |
| 1.769 | 51.67 | 33 |
| 1.515 | 61.19 | 30 |